18 December, 2006

A Tale of Intestinal Fortitude at Tyranena

Last Thursday was the latest Grant's Hopluck Dinner out at the Tyranena Brewery in Lake Mills. This was not just any old Hopluck, however, but rather the 4th Annual Chili Cook-Off. The Dulcinea had been honing her recipe the previous few weeks for the occasion and had an exceptionally tasty chili with chocolate and the requisite beer. In this case, it was Chief Black Hawk Porter. (All dishes at the Hoplucks must have some Tyranena brew in them, you see.) We arrived around 6 and found ourselves to be chili #9. (Number 9…number 9…)

Folks were basking in the glow of the holiday lights in the tasting room readying their stomachs for the night by swilling suds. Well, most folks were. It was a family event and so there was a smattering of kids drinking Tyranena's root beer and even a couple dogs wandering the place. One of them, a little guy, was hopping around in a frenzy at the wonderful aromas emanating from the hallway where the tables filled with an ever-increasing number of chilis.

And so The Dulcinea and I bellied up to the bar. Much to our delight, they had their Spank Me Baby! Barleywine on tap. I was a little worried at first because The Dulcinea has an affinity for barleywine and a history of losing her bouts with New Glarus' Tail Wagger variety. But one pint proved enough for her and instead she concentrated on chili. I do want to say that we both found Spank Me Baby! to be tasty but that it lacked a certain fullness.

Towards 6:30 folks starting grabbing bowls and eating chili so we followed suit.

The hallway became home to many people contemplating the subtle and not-so-subtle flavors of the chilis and sniffling all the while. Brewmaster Rob Larson hustled in and out of the hallway at a frantic pace stopping occasionally to laugh at me as I stood there sweating. There was one very small crockpot that had a skull & crossbones on it that was called "Death's Revenge". I didn't see many folks go beyond lifting the lid and peeking inside. A group of boys who were around 8 or 9 displayed wisdom beyond their years and let it lie undisturbed.

I, however, was not so wise and put a few teaspoons into my bowl. As you can hopefully see from the picture above, whole peppers and chunks of peppers with seeds intact floated atop the heady stew. And there were slices of habaneras. I began by leaving the peppers alone and just sampling the broth and meat. It was, obviously, very hot, but nonetheless quite tasty. The problems really started when I began eating the peppers. I swear to you that I didn't mean to serve myself 3 strips of habaneras but I did. So I'd run to the bar and swill down some suds which cooled my mouth for about 3 seconds which was long enough to get back into the hallway and start inflicting more pain on my palate. At some point I began salivating profusely. My mouth was on fire and my body was doing everything it could to put the fire out except force itself to stop eating. (Stupid mind-body duality!) My face was flushed and I was sweating up a storm. Uff da! But it was such a good pain.

The green chili above was excellent and won the award for most unusual chili. It has Brussels sprouts in it and I believe the meat was turkey. I guess you've gotta deal with those Thanksgiving leftovers somehow.

As we waited for the winners to be announced, I sampled Tyranena's seasonal brew, Shantytown Doppelbock while The Dulcinea and I indulged in some truffles from Legacy Chocolates that were made with Tyranena beer.

The chipotle variety had some zing to 'em and were quite tasty.

Finally Stacy hopped onto the bar and announced the winners in the 3 categories. There was most unusual, which I noted above; spiciest chili that is still edible; and I think best overall was the last category. And here are the winners:

I was really buzzed by this time but wasn't sure if it was from the beer, the peppers, or the chocolate. Probably all three. It would have been nice to have had a hotel room and taken Friday off because I would have liked to have stayed and had some more beer and chili samples. But it was a great time nonetheless. There were a lot of Tyranena regulars and contestants from previous years. While I met one guy there from Madison (who was last year's champion), most folks seemed to be from the area. This was only my second time at Tyranena but the impression I got from my initial visit was reinforced: the tasting room is much more than that. It's more like a neighborhood tavern than merely a place to sample the brewery's beers.

Look for the next Hopluck dinner to happen around St. Patrick's Day with an appropriate theme.


  1. Anonymous2:31 PM

    I can't believe how much the even whet my appetite for chili. Even eating the leftovers I brought home has me wanting MORE chili. Maybe we'll have chili for Christmas dinner...

    The D

  2. Who's that hottie with the striped socks?

  3. Anonymous8:45 PM

    Damn she's fine. I've been sleeping with her for years! I'll introduce you sometime. :P

Record 1
The following is a DFT calculation (ωB97M-V/def2-TZVPD) of 3 unconnected molecules or ions with the total composition C36H72BBrF9NO7PS.

## Properties
HOMO level (eV): -4.80
Kohn-Sham gap (eV): 7.16
LUMO (eV): 2.3579

```
! RIJCOSX wB97M-V def2-TZVPD def2/J DEFGRID3
* xyz -1 1
C 1.175 -4.325 1.659
C 0.144 -4.684 2.750
C -1.272 -4.168 2.462
C -1.535 -2.756 2.990
N -0.579 -1.806 2.452
P -1.089 -0.089 2.551
O -0.595 -0.057 4.216
B -1.857 -0.257 0.707
O -1.585 -1.291 -0.158
O -2.810 0.645 0.169
C -3.996 0.907 0.897
C -4.878 -0.328 1.076
O -1.375 1.629 2.602
C -0.373 2.510 2.098
C -0.860 2.936 0.687
C -0.672 4.373 0.161
C -0.567 4.362 -1.366
C -1.875 3.854 -2.010
C -0.386 3.716 3.047
C -1.803 4.277 3.249
C -2.531 3.701 4.449
Br -1.766 4.310 6.130
C 0.938 1.610 2.086
C 1.969 1.786 0.922
C 2.269 3.252 0.542
C 1.601 0.902 -0.296
C 2.488 -0.341 -0.449
C 1.795 -1.509 -1.179
S 1.977 1.941 3.645
O 1.304 1.796 4.900
O 2.742 3.151 3.439
C 3.254 0.504 3.735
F 3.043 -0.468 2.830
F 3.125 -0.026 4.956
C 4.730 0.969 3.584
F 4.891 1.733 2.489
F 5.072 1.692 4.666
C 5.729 -0.222 3.435
F 5.405 -1.237 4.251
F 5.696 -0.652 2.160
C 7.205 0.155 3.736
F 7.386 0.458 5.019
F 7.600 1.180 2.985
F 7.978 -0.899 3.450
O 0.552 0.303 2.083
H 0.670 -4.134 0.711
H 1.914 -5.119 1.538
H 1.687 -3.394 1.905
H 0.483 -4.260 3.700
H 0.115 -5.771 2.857
H -2.015 -4.850 2.893
H -1.443 -4.166 1.380
H -2.551 -2.476 2.687
H -1.521 -2.786 4.093
H 0.233 -1.826 3.065
H -2.459 -0.306 3.020
H -1.362 0.199 4.732
H -2.130 -1.155 -0.946
H -4.547 1.670 0.337
H -3.754 1.344 1.871
H -4.688 -0.814 2.035
H -5.935 -0.049 1.058
H -4.710 -1.043 0.270
H -0.513 2.241 -0.075
H -1.929 2.765 0.753
H -1.571 4.953 0.397
H 0.181 4.897 0.587
H 0.232 3.682 -1.675
H -0.293 5.349 -1.747
H -2.033 4.294 -2.995
H -2.716 4.089 -1.354
H -1.813 2.771 -2.126
H -0.015 3.428 4.029
H 0.282 4.509 2.706
H -1.717 5.357 3.405
H -2.426 4.141 2.362
H -3.570 4.026 4.467
H -2.508 2.615 4.444
H 2.923 1.393 1.268
H 3.349 3.407 0.493
H 1.851 3.510 -0.430
H 1.905 3.950 1.290
H 0.558 0.594 -0.272
H 1.723 1.521 -1.193
H 3.389 -0.060 -1.005
H 2.807 -0.690 0.530
H 2.242 -1.700 -2.158
H 0.724 -1.341 -1.287
H 1.901 -2.432 -0.605
C 4.776 -4.722 -1.376
C 4.535 -4.121 -2.756
C 3.735 -5.030 -3.687
C 4.402 -6.368 -4.011
C 5.790 -6.258 -4.641
C 5.794 -5.534 -5.983
H 5.358 -5.645 -1.431
H 5.324 -4.028 -0.737
H 3.829 -4.949 -0.882
H 5.493 -3.858 -3.216
H 3.988 -3.183 -2.638
H 3.524 -4.491 -4.616
H 2.760 -5.230 -3.231
H 3.749 -6.927 -4.690
H 4.474 -6.970 -3.101
H 6.190 -7.266 -4.779
H 6.473 -5.753 -3.952
H 5.146 -6.043 -6.701
H 6.799 -5.498 -6.408
H 5.443 -4.506 -5.887
C -6.501 2.742 -1.422
C -5.769 1.801 -2.373
C -5.188 2.502 -3.600
C -6.211 3.167 -4.522
C -7.287 2.230 -5.069
C -6.729 1.099 -5.927
H -7.358 3.218 -1.901
H -6.871 2.204 -0.548
H -5.832 3.530 -1.069
H -6.441 0.994 -2.681
H -4.947 1.322 -1.833
H -4.599 1.778 -4.170
H -4.476 3.261 -3.262
H -5.677 3.623 -5.362
H -6.698 3.992 -3.993
H -7.989 2.818 -5.667
H -7.870 1.809 -4.245

